I love this season of celebrating the birth of Jesus: the lights, music, Christmas plays, and catching up with family and friends. At the same time, it is easy to get caught up in the busyness of gift buying, baking, and events. All worthwhile activities, but they can distract me from the present that means the most, Jesus.
Several years ago, while shopping, I noticed one of the cashiers greeting each customer with a smile so welcoming I moved to her line. She gave each person the gift of joy through her countenance. It was free, and almost always, a big smile returned to her. There was a contagious effect of her attention to each customer. Her offering of joy multiplied as she shared it. God’s gifts are like this. They increase as we experience them and pass them on.
This season, I am trying to be more aware of gifts that are needed, never go out of style, and always fit. The offerings of time, listening, praying, gratefulness, kindness, patience, joy, and, of course, love is perfect for all people and all occasions because they are from the Lord. Sharing the free gifts of God can literally change the trajectory of one’s day and even one’s life.
The Priceless Gifts that Matter
This morning I received another gift in the incredible sunrise that greeted me. It was a reminder of God’s glory expressed daily in the skies and in the announcement of His birth. I wonder how often I miss the beauty of God’s creation when I am busy “doing” instead of “being still” in His presence. It seems ironic to me that God is never too busy for me, His child, but I am often too busy for Him. He knows that as I slow down, rest, and savor His presence, the more I will experience His gift of contentment and peace.

Like beautifully wrapped presents under the tree, God’s gifts of love, joy, and peace, can’t fulfill their purpose until I open them. These offerings of God are not meant to be stockpiled. They literally shrivel up without use. The material presents get lost, broken, or expended but not the gifts of God. These gifts become more plentiful with use. Love creates more love, joy gives rise to joy, and kindness leads to more kindness.

Whichever gifts you receive or give this season, share the ones that never grow old, never wear out, and become more precious as the years go by. The most perfect and most expensive gift we will ever receive is the gift of salvation from God, our Father, through His son, Jesus. From this free gift to us, though very expensive to God, all the other gifts flow.
May you be extravagant in sharing the overwhelming love of God. Enjoy His presence in your life this beautiful season.

Personal Parables is the blog of Dyann Shepard. Get Dyann’s complementary study and prayer guide, What to Do When Life Falls Apart. If you need encouragement when navigating life’s unthinkable events, this free 5-day study is for you. Follow Dyann and Personal Parables on Instagram and Facebook. Dyann is available for speaking, guest blogging, and article writing.
Scripture for Meditation
Merry Christmas! Some verses to enhance your joy this Christmas season. My new post on Gifts at Christmas is here.
Isaiah 9:6 “For a child is born to us, A son is given to us, And the government Is upon His shoulder; And His name will be called Wonderful Counselor, Mighty God, Eternal Father, Prince of Peace.”

=====
Here is a relaxed structure of Tb2Pr4Bi3N2 from Alexandria. Energies are from PBE.

Values from the calculation:
Formation energy from raw total energies ... -10.78 eV/f.u.
SG ... I4/mmm

Cell: 13.6579 13.6579 13.6579 Å, 159.46 159.46 29.21°
With the nearest neighbours (Å) after each atom.
Element x y z (fractional)
Tb (0.1914, 0.1914, 0.0000)  1 N 2.18
Tb (0.8086, 0.8086, 0.0000)  1 N 2.18
Pr (0.0850, 0.5850, 0.5000)  2 N 2.52
Pr (0.4150, 0.9150, 0.5000)  2 N 2.52
Pr (0.5850, 0.0850, 0.5000)  2 N 2.52
Pr (0.9150, 0.4150, 0.5000)  2 N 2.52
Bi (0.3170, 0.3170, 0.0000)  5 Tb 3.32-3.45, 4 Pr 3.55
Bi (0.5000, 0.5000, 0.0000)  8 Pr 3.31
Bi (0.6830, 0.6830, 0.0000)  5 Tb 3.32-3.45, 4 Pr 3.55
N (0.1090, 0.1090, 0.0000)  1 Tb 2.18
N (0.8910, 0.8910, 0.0000)  1 Tb 2.18

=====

Here is a relaxed structure of TbPr2Bi2N2 from Alexandria. Energies are from PBE.

Values from the calculation:
Formation energy from raw total energies ... -5.95 eV/f.u.
SG ... I4/mmm

Cell: 8.8057 8.8057 8.8057 Å, 149.92 149.92 43.06°
With the nearest neighbours (Å) after each atom.
Element x y z (fractional)
Tb (0.0000, 0.0000, 0.0000)  4 N 2.29
Pr (0.4073, 0.4073, 0.0000)  4 N 2.74, 1 Pr 3.04
Pr (0.5927, 0.5927, 0.0000)  4 N 2.74, 1 Pr 3.04
Bi (0.2135, 0.2135, 0.0000)  1 Pr 3.17, 4 Bi 3.45, 1 Tb 3.50
Bi (0.7865, 0.7865, 0.0000)  1 Pr 3.17, 4 Bi 3.45, 1 Tb 3.50
N (0.0000, 0.5000, 0.5000)  2 Tb 2.29
N (0.5000, 0.0000, 0.5000)  2 Tb 2.29

=====

Here is a relaxed structure of Pr3BiTeN from Alexandria. Energies are from PBE.

Values from the calculation:
Formation energy from raw total energies ... -6.98 eV/f.u.
SG ... P2_1/m

Cell: 9.5001 4.3673 9.6648 Å, 90.00 96.64 90.00°
With the nearest neighbours (Å) after each atom.
Element x y z (fractional)
Pr (0.1060, 0.2500, 0.3306)  1 N 2.29
Pr (0.1472, 0.7500, 0.0015)  3 N 2.30-2.45
Pr (0.3903, 0.7500, 0.6424)  3 Te 3.15-3.22, 2 Bi 3.19
Pr (0.6097, 0.2500, 0.3576)  3 Te 3.15-3.22, 2 Bi 3.19
Pr (0.8528, 0.2500, 0.9985)  3 N 2.30-2.45
Pr (0.8940, 0.7500, 0.6694)  1 N 2.29
Bi (0.1591, 0.2500, 0.7009)  5 Pr 3.19-3.56
Bi (0.8409, 0.7500, 0.2991)  5 Pr 3.19-3.56
Te (0.3601, 0.7500, 0.3141)  6 Pr 3.15-3.44
Te (0.6399, 0.2500, 0.6859)  6 Pr 3.15-3.44
N (0.0869, 0.2500, 0.0926)  4 Pr 2.29-2.45
N (0.9131, 0.7500, 0.9074)  4 Pr 2.29-2.45

~~~~~

[1]
# Sr2OsSe PBE relaxed
# Total magnetization ... 0.000 μB per atom
# Energy ... -66.2 eV/cell
# Mass density ... 7.8 g/cm3
data_Sr2OsSe
_chemical_formula_sum 'Sr8 Os4 Se4'
_cell_length_a 7.228
_cell_length_b 7.228
_cell_length_c 7.228
_cell_angle_alpha 90.00
_cell_angle_beta 90.00
_cell_angle_gamma 90.00
_space_group_name_H-M_alt 'F -4 3 m'
_space_group_IT_number 216
_space_group_name_Hall 'F -4 2 3'
loop_
_atom_site_label
_atom_site_type_symbol
_atom_site_fract_x
_atom_site_fract_y
_atom_site_fract_z
Sr1 Sr 0.000 0.000 0.000
Sr2 Sr 0.250 0.250 0.250
Os1 Os 0.000 0.000 0.500
Se1 Se 0.250 0.250 0.750

[2]
# Sr2OsSe PBE relaxed
# Total magnetization ... 0.000 μB per atom
# Energy ... -37.5 eV/cell
=====
Back to the piece =

Ephesians 2:8-9 “For by grace you have been saved through faith, and that not of yourselves; it is the gift of God.”
Proverbs 17:22 “A cheerful heart is a good medicine.”
Psalm 23:5-6 (CEV) “You fill my cup until it overflows. Your kindness and love will always be with me each day of my life.”
Isaiah 26:3 “You will keep in perfect peace those whose minds are steadfast because they trust in you.”

Psalm 19:1-3
“The heavens declare the glory of God; the skies proclaim the work of his hands. Day after day they pour forth speech; night after night they display knowledge. There is no speech or language where their voice is not heard.”
Music for Reflection
Merry Christmas! To celebrate Gifts at Christmas, enjoy some songs of the season!

Wishing everyone a Merry Christmas and all the blessings of a New Year.